The Beast is an animated character from the film, “Beauty and the Beast.” He is referred to as the prince or Master in his dark castle by his servants. Also, he is referred to as the Beast by the people outside of his castle because he doesn’t look like a human rather a hideous creature, a Monster. The Beast was cursed as punishment due to his selfish and cruel manners. The following motivational concepts includes Emotions and Moods, and the Drives, Needs, and Awareness of the Beast.
Data records, as found in the file
********
Entry 1:
20
Lattice="5.697 0.000 0.000 0.000 5.928 0.000 -5.666 0.000 8.205" Properties=species:S:1:pos:R:3 comment="CaLa2TiO6 (PBE-GGA, optimized geometry)" dft_energy_ev_per_fu=-82.4 e_above_lowest_polymorph_ev_per_atom=0.000 dos_at_fermi_per_ev_atom=0.00 pbc="T T T"
Ca 0.000 0.000 0.000
Ca -2.833 2.964 4.102
La -2.741 0.315 6.131
La 0.092 2.649 2.029
La -0.062 3.279 6.176
La 2.771 5.613 2.074
Ti 0.015 0.000 4.102
Ti 2.848 2.964 0.000
O -0.628 0.278 2.225
O -3.461 2.686 6.327
O 1.244 4.033 0.435
O -1.589 4.859 4.537
O 1.843 1.303 0.540
O -0.990 1.661 4.643
O 1.021 4.266 3.562
O -1.812 4.625 7.664
O 1.620 1.069 3.668
O -1.213 1.895 7.770
O 3.492 3.242 1.877
O 0.659 5.649 5.980

=====

Entry 2:
10
Lattice="4.002 0.000 0.000 0.000 4.002 0.000 0.000 0.000 9.176" Properties=species:S:1:pos:R:3 comment="Y2CuNi3P4 (PBE-GGA, optimized geometry)" e_form_mev_per_atom=-913 dft_energy_ev_per_fu=-65.1 dos_at_fermi_per_ev_atom=0.27 pbc="T T T"
Y 0.000 2.001 2.253
Y 2.001 0.000 6.923
Cu 0.000 0.000 4.588
Ni 0.000 2.001 8.114
Ni 2.001 0.000 1.062
Ni 2.001 2.001 4.588
P 0.000 0.000 0.000
P 0.000 2.001 5.838
P 2.001 0.000 3.338
P 2.001 2.001 0.000

=====

Entry 3:
5
Lattice="6.004 0.000 0.000 0.000 6.004 0.000 0.000 0.000 6.004" Properties=species:S:1:pos:R:3 comment="KBaBi3 (PBE-GGA, optimized geometry)" e_form_mev_per_atom=270 dft_energy_ev_per_fu=-13.3 e_above_lowest_polymorph_ev_per_atom=0.000 dos_at_fermi_per_ev_atom=0.61 pbc="T T T"
K 0.000 0.000 0.000
Ba 3.002 3.002 3.002
Bi 0.000 0.000 3.002
Bi 0.000 3.002 0.000
Bi 3.002 0.000 0.000

=====

Entry 4:
12
Lattice="5.897 0.000 0.000 0.000 9.537 0.000 0.000 0.000 6.762" Properties=species:S:1:pos:R:3 comment="CaBiPb (PBE-GGA, optimized geometry)" e_form_mev_per_atom=-442 dft_energy_ev_per_fu=-10.9 e_above_lowest_polymorph_ev_per_atom=0.020 dos_at_fermi_per_ev_atom=0.52 pbc="T T T"
Ca 0.000 1.592 1.691
Ca 0.000 7.944 5.072
Ca 2.948 3.176 5.072
Ca 2.948 6.361 1.691
Bi 0.000 1.660 5.072
Bi 0.000 7.877 1.691
Bi 2.948 3.109 1.691
Bi 2.948 6.428 5.072
Pb 0.000 4.768 0.000
Pb 0.000 4.768 3.381
Pb 2.948 0.000 0.000
Pb 2.948 0.000 3.381

=====

Entry 5:
6
Lattice="4.127 0.000 0.000 0.000 4.127 0.000 0.000 0.000 7.915" Properties=species:S:1:pos:R:3 comment="ThTaAs (PBE-GGA, optimized geometry)" e_form_mev_per_atom=-633 dft_energy_ev_per_fu=-25.8 dos_at_fermi_per_ev_atom=0.76 pbc="T T T"
Th 1.032 1.032 1.201
Th 3.095 3.095 6.714
Ta 1.032 3.095 3.958
Ta 3.095 1.032 3.958
As 1.032 1.032 5.835
As 3.095 3.095 2.080

=====

Entry 6:
5
Lattice="5.783 0.000 0.000 0.000 5.783 0.000 0.000 0.000 5.783" Properties=species:S:1:pos:R:3 comment="CaMn3I (PBE-GGA, optimized geometry)" dft_energy_ev_per_fu=-23.2 e_above_lowest_polymorph_ev_per_atom=0.558 dos_at_fermi_per_ev_atom=1.33 pbc="T T T"
Ca 0.000 0.000 0.000
Mn 0.000 0.000 2.892
Mn 0.000 2.892 0.000
Mn 2.892 0.000 0.000
I 2.892 2.892 2.892

=====

Entry 7:
5
********
Back to the article
1. Insert citation for your article here.
Summarize your article in two paragraphs. In the first paragraph, describe the study (what was being investigated, what method the researchers used, the results they found, and the conclusions of the study). In paragraph two, explain how the article is important or relevant for your paper.
2. Insert citation for your article here.
Summarize your article in two paragraphs. In the first paragraph, describe the study (what was being investigated, what method the researchers used, the results they found, and the conclusions of the study). In paragraph two, explain how the article is important or relevant for your paper.
- - -
# 1
The following is a DFT calculation (PBE) of an optimized crystal structure of Ba2TlIrPb.

Output
- ΔE_f (eV per atom) = -0.18
- crystal system = tetragonal
- Fermi-level density of states (states/eV per atom) = 1.060
- calculated density (g/cm3) = 7.4
- symmetry = P4/mmm, No. 123

Lattice parameters (Å, degrees): 6.1240 6.1240 5.2456 90.00 90.00 90.00
With the nearest neighbours (Å) after each atom.
Atoms (fractional coordinates):
Pb1 0.0000 0.0000 0.5000  2 Ir 2.62
Tl1 0.5000 0.5000 0.5000  8 Ba 4.03, 4 Pb 4.33
Ir1 0.0000 0.0000 0.0000  2 Pb 2.62
Ba1 0.0000 0.5000 0.0000  2 Ir 3.06
Ba2 0.5000 0.0000 0.0000  2 Ir 3.06

# 2
The following is a DFT calculation (PBE) of an optimized crystal structure of BaYIrPb2.

Output
- ΔE_f (eV per atom) = 1.20
- crystal system = tetragonal
- Fermi-level density of states (states/eV per atom) = 1.482
- calculated density (g/cm3) = 7.1
- symmetry = P4/mmm, No. 123

Lattice parameters (Å, degrees): 6.0530 5.2915 6.0530 90.00 90.00 90.00
With the nearest neighbours (Å) after each atom.
Atoms (fractional coordinates):
Pb1 0.0000 0.0000 0.5000  2 Ba 3.03
Pb2 0.5000 0.0000 0.0000  2 Ba 3.03
Y1 0.5000 0.5000 0.5000  8 Pb 4.02, 4 Ir 4.28
Ir1 0.0000 0.5000 0.0000  2 Ba 2.65
Ba1 0.0000 0.0000 0.0000  2 Ir 2.65

# 3
The following is a DFT calculation (PBE) of an optimized crystal structure of BaZn2IrPb.

Output
- ΔE_f (eV per atom) = -0.21
- crystal system = tetragonal
- Fermi-level density of states (states/eV per atom) = 0.595
- calculated density (g/cm3) = 8.4
- symmetry = P4/mmm, No. 123

Lattice parameters (Å, degrees): 5.0030 5.0030 5.2421 90.00 90.00 90.00
With the nearest neighbours (Å) after each atom.
Atoms (fractional coordinates):
Pb1 0.0000 0.0000 0.5000  2 Ir 2.62
Zn1 0.0000 0.5000 0.0000  2 Ir 2.50
Zn2 0.5000 0.0000 0.0000  2 Ir 2.50
Ir1 0.0000 0.0000 0.0000  4 Zn 2.50, 2 Pb 2.62
Ba1 0.5000 0.5000 0.5000  4 Pb 3.54, 8 Zn 3.62

# 4
The following is a DFT calculation (PBE) of an optimized crystal structure of BaIrPd2.

Output
- ΔE_f (eV per atom) = -0.18
- crystal system = monoclinic
- Fermi-level density of states (states/eV per atom) = 1.047
- calculated density (g/cm3) = 10.7
- symmetry = C2/m, No. 12
- offset from the most stable computed form (eV per atom) = 0.019

Lattice parameters (Å, degrees): 5.8278 4.4632 14.2333 90.00 114.08 90.00
With the nearest neighbours (Å) after each atom.
Atoms (fractional coordinates):
Ba1 0.1040 0.0000 0.3536  7 Pd 3.01-3.28
Ba2 0.8960 0.0000 0.6464  7 Pd 3.01-3.28
Ba3 0.1040 0.5000 0.8536  7 Pd 3.01-3.28
Ba4 0.8960 0.5000 0.1464  7 Pd 3.01-3.28
Ir1 0.4547 0.0000 0.2028  2 Ir 2.55, 3 Pd 2.71-2.76
Ir2 0.5453 0.0000 0.7972  2 Ir 2.55, 3 Pd 2.71-2.76
Ir3 0.4547 0.5000 0.7028  2 Ir 2.55, 3 Pd 2.71-2.76
Ir4 0.5453 0.5000 0.2972  2 Ir 2.55, 3 Pd 2.71-2.76
Pd1 0.0000 0.0000 0.0000  6 Pd 2.88-2.91, 2 Ir 3.02
Pd2 0.0000 0.5000 0.5000  6 Pd 2.88-2.91, 2 Ir 3.02
Pd3 0.3345 0.0000 0.5849  3 Ir 2.71-2.76, 4 Pd 2.88, 3 Ba 3.01-3.02
- - -
3. Insert citation for your article here.
Summarize your article in two paragraphs. In the first paragraph, describe the study (what was being investigated, what method the researchers used, the results they found, and the conclusions of the study). In paragraph two, explain how the article is important or relevant for your paper.
4. Insert citation for your article here.
Summarize your article in two paragraphs. In the first paragraph, describe the study (what was being investigated, what method the researchers used, the results they found, and the conclusions of the study). In paragraph two, explain how the article is important or relevant for your paper.
5. Insert citation for your article here.
Summarize your article in two paragraphs. In the first paragraph, describe the study (what was being investigated, what method the researchers used, the results they found, and the conclusions of the study). In paragraph two, explain how the article is important or relevant for your paper.
6. Insert citation for your article here.
Summarize your article in two paragraphs. In the first paragraph, describe the study (what was being investigated, what method the researchers used, the results they found, and the conclusions of the study). In paragraph two, explain how the article is important or relevant for your paper.
7. Insert citation for your article here.
~~~
1.
# KBeTe3 | Alexandria | PBE-GGA | optimized geometry
data_KBeTe3
_chemical_formula_sum 'K1 Be1 Te3'
_space_group_name_H-M_alt 'P 1'
_space_group_IT_number 1
_space_group_name_Hall 'P 1'
_cell_length_a 5.2355
_cell_length_b 5.2355
_cell_length_c 5.2355
_cell_angle_alpha 90.00
_cell_angle_beta 90.00
_cell_angle_gamma 90.00
loop_
_atom_site_label
_atom_site_type_symbol
_atom_site_fract_x
_atom_site_fract_y
_atom_site_fract_z
_atom_site_occupancy
K1 K 0.0000 0.0000 0.0000 1
Be1 Be 0.5000 0.5000 0.5000 1
Te1 Te 0.0000 0.5000 0.5000 1
Te2 Te 0.5000 0.0000 0.5000 1
Te3 Te 0.5000 0.5000 0.0000 1
# Energy relative to the elements, uncorrected, meV per atom: -83
# V, Å³ per atom: 28.70
# Symmetry: Pm-3m (221)
# Excess energy over the best structure of this formula in the dataset, eV/atom: 0.000
# VASP energy, eV per atom: -2.933
# N(E_F), states/eV per cell: 4.52

***

2.
# K2BeTe | Alexandria | PBE-GGA | optimized geometry
data_K2BeTe
_chemical_formula_sum 'K2 Be1 Te1'
_space_group_name_H-M_alt 'P 1'
_space_group_IT_number 1
_space_group_name_Hall 'P 1'
_cell_length_a 4.4250
_cell_length_b 4.4250
_cell_length_c 7.1181
_cell_angle_alpha 90.00
_cell_angle_beta 90.00
_cell_angle_gamma 90.00
loop_
_atom_site_label
_atom_site_type_symbol
_atom_site_fract_x
_atom_site_fract_y
_atom_site_fract_z
_atom_site_occupancy
K1 K 0.0000 0.0000 0.0000 1
K2 K 0.5000 0.5000 0.3406 1
Be1 Be 0.5000 0.5000 0.7795 1
Te1 Te 0.0000 0.0000 0.5469 1
# Energy relative to the elements, uncorrected, meV per atom: 178
# V, Å³ per atom: 34.84
# Symmetry: P4mm (99)
# Excess energy over the best structure of this formula in the dataset, eV/atom: 0.348
# VASP energy, eV per atom: -2.088

***

3.
# KBe2Te | Alexandria | PBE-GGA | optimized geometry
data_KBe2Te
_chemical_formula_sum 'K2 Be4 Te2'
_space_group_name_H-M_alt 'P 1'
_space_group_IT_number 1
_space_group_name_Hall 'P 1'
_cell_length_a 6.4780
_cell_length_b 6.4780
_cell_length_c 6.4780
_cell_angle_alpha 104.54
_cell_angle_beta 104.54
_cell_angle_gamma 119.86
loop_
_atom_site_label
_atom_site_type_symbol
_atom_site_fract_x
_atom_site_fract_y
_atom_site_fract_z
_atom_site_occupancy
K1 K 0.0000 0.0000 0.0000 1
K2 K 0.7500 0.2500 0.5000 1
Be1 Be 0.2064 0.1250 0.5814 1
Be2 Be 0.3750 0.7936 0.9186 1
Be3 Be 0.5436 0.6250 0.4186 1
Be4 Be 0.8750 0.4564 0.0814 1
Te1 Te 0.2500 0.7500 0.5000 1
Te2 Te 0.5000 0.5000 0.0000 1
# Energy relative to the elements, uncorrected, meV per atom: 644
# V, Å³ per atom: 25.50
# Symmetry: I-42d (122)
# VASP energy, eV per atom: -2.279
# N(E_F), states/eV per cell: 4.62

***

4.
# KBeTe2 | Alexandria | PBE-GGA | optimized geometry
data_KBeTe2
_chemical_formula_sum 'K1 Be1 Te2'
_space_group_name_H-M_alt 'P 1'
_space_group_IT_number 1
_space_group_name_Hall 'P 1'
_cell_length_a 5.2729
_cell_length_b 3.8420
_cell_length_c 6.8090
_cell_angle_alpha 90.00
_cell_angle_beta 90.32
_cell_angle_gamma 90.00
loop_
_atom_site_label
_atom_site_type_symbol
_atom_site_fract_x
_atom_site_fract_y
_atom_site_fract_z
~~~
End of the materials data:
Summarize your article in two paragraphs. In the first paragraph, describe the study (what was being investigated, what method the researchers used, the results they found, and the conclusions of the study). In paragraph two, explain how the article is important or relevant for your paper.
8. Insert citation for your article here.
Summarize your article in two paragraphs. In the first paragraph, describe the study (what was being investigated, what method the researchers used, the results they found, and the conclusions of the study). In paragraph two, explain how the article is important or relevant for your paper.